Jupytext — Diff your Jupyter notebook as you want

Nok Chan
Towards Data Science
3 min readMar 28, 2019


The Jupyter notebook has been the go-to tools for a lot of data scientist, and it has been used widely for education due to the ability to run cell one by one. The fact that the notebook is a huge JSON file makes it hard to work with tools like git, nbdime is a great alternative if you want to see the output of Jupyter Notebook, I have written a post about nbdime about six months ago.

nbdime is great, but it does not work well with IDEs like VS Codes and PyCharm. What if there is a tool that allows you to work with notebook but you can diff like scripts? There is a simple solution — Jupytext. The magic about Jupytext is, it pairs your notebook with a .py script automatically(you can also pair with .html/.md, etc…). It is a simple but effective solution that allows you to enjoy the benefit of both sides. There are some cool things unlocked by this notebook-scripts pair.

  1. Open a .py script like a notebook
  2. Version control is easy
  3. Full IDE refactor capability with your Jupyter Notebook

1. Open a .py script like a notebook

You can install Jupytext with this command easily, it will install Jupytext and the notebook extension come with it.

pip install jupytext
You can open a py script like a .ipynb file with Jupyter notebook

• Materials data, kept here for reference:
┌──
1.
Simulated X-ray diffraction stick pattern
Compound: MgCo2Bi4O12
Radiation: Cu Kα, 1.54184 Å
Structure: a cell relaxed with GGA+U
Kinematic intensities with the Lorentz-polarization factor, no thermal factor.

Structure:
abc: 5.028 9.921 5.169
angles: 90.00 90.57 90.00
Fractional coordinates of all 19 atoms:
Mg 0.000 0.000 0.000
Co 0.000 0.501 0.500
Co 0.500 0.001 0.000
Bi 0.000 0.178 0.500
Bi 0.000 0.823 0.500
Bi 0.500 0.335 0.000
Bi 0.500 0.666 0.000
O 0.210 0.342 0.331
O 0.212 0.660 0.331
O 0.215 0.001 0.320
O 0.263 0.149 0.847
O 0.265 0.851 0.847
O 0.281 0.501 0.805
O 0.719 0.501 0.195
O 0.735 0.851 0.153
O 0.737 0.149 0.153
O 0.785 0.001 0.680
O 0.788 0.660 0.669
O 0.790 0.342 0.669

Peak list (8 most intense, 2θ from 10° to 80°, by angle)
2θ = 24.58°, I 1000, hkl 1 0 -1
2θ = 24.83°, I 991, hkl 1 0 1
2θ = 32.13°, I 879, hkl 0 3 1
2θ = 32.41°, I 876, hkl 1 3 0
2θ = 34.71°, I 358, hkl 0 0 2
2θ = 48.08°, I 334, hkl 1 3 -2
2θ = 48.66°, I 415, hkl 2 3 -1
2θ = 48.94°, I 383, hkl 2 3 1

***

2.
Simulated X-ray diffraction stick pattern
Compound: Na3EuV2O8
Radiation: Cu Kα, 1.54184 Å
Structure: a cell relaxed with GGA+U
Kinematic intensities with the Lorentz-polarization factor, no thermal factor.

Structure:
abc: 5.988 5.988 7.327
angles: 90.00 90.00 120.00
Fractional coordinates of all 14 atoms:
Na 0.000 0.000 0.000
Na 0.333 0.667 0.694
Na 0.667 0.333 0.306
Eu 0.000 0.000 0.500
V 0.333 0.667 0.221
V 0.667 0.333 0.779
O 0.174 0.348 0.305
O 0.174 0.826 0.305
O 0.333 0.667 0.992
O 0.348 0.174 0.695
O 0.652 0.826 0.305
O 0.667 0.333 0.008
O 0.826 0.174 0.695
O 0.826 0.652 0.695

Peak list (8 most intense, 2θ from 10° to 80°, by angle)
2θ = 12.08°, I 209, hkl 0 0 1
2θ = 17.10°, I 159, hkl 1 0 0
2θ = 20.99°, I 671, hkl 1 0 1
2θ = 29.85°, I 1000, hkl 1 1 0
2θ = 42.72°, I 291, hkl 2 0 2
2θ = 48.06°, I 186, hkl 2 1 1
2θ = 52.98°, I 312, hkl 3 0 0
2θ = 62.00°, I 153, hkl 2 2 0


[1]
Computed powder diffractogram
Compound: Nb3VO8
Radiation: Cu Ka
Structure: a crystal structure in Alexandria, relaxed with PBE+U

Structure:
a = 6.635 Å, b = 6.635 Å, c = 6.857 Å
α = 105.95°, β = 105.95°, γ = 35.40°
Fractional positions:
Nb  0.000  0.000  0.000
Nb  0.101  0.101  0.586
Nb  0.791  0.791  0.562
V  0.694  0.694  0.982
O  0.040  0.040  0.298
O  0.149  0.149  0.918
O  0.272  0.272  0.604
O  0.526  0.526  0.996
O  0.632  0.632  0.632
O  0.756  0.756  0.288
O  0.845  0.845  0.917
O  0.955  0.955  0.642

Largest 10 diffraction maxima, by intensity, 5° ≤ 2θ ≤ 70°:
2theta	Rel. int.
23.24	100.0
27.16	58.7
13.49	46.5
44.94	37.4
31.54	35.0
28.70	29.8
42.93	28.4
14.64	26.5
31.36	26.2
22.67	24.1

***

[2]
Computed powder diffractogram
Compound: NbVO4
Radiation: Cu Ka
Structure: a crystal structure in Alexandria, relaxed with PBE+U

Structure:
a = 5.690 Å, b = 4.770 Å, c = 5.677 Å
α = 90.00°, β = 114.48°, γ = 90.00°
Fractional positions:
Nb  0.000  0.000  0.000
Nb  0.000  0.500  0.500
V  0.500  0.000  0.500
V  0.500  0.500  0.000
O  0.146  0.203  0.340
O  0.146  0.297  0.840
└──
• The piece goes on:

If you have pay attention to the file name, it is actually a .py file, but you can treat it like a notebook. You can play with the file interactively in every way, except that it is still a .py file, so the output will not be cached in the script file, it only exists in your browser.

Pair your notebook with the script

With the notebook extension, it is just 1 click to pair your notebook. Here I have paired my notebook with light format script. If you do not care what format it is, just go with the light script. According to the Jupytext doc, these are the supported format currently.

Markdown and R Markdown documents,Julia, Python, R, Bash, Scheme, Clojure, Matlab, Octave, C++ and q/kdb+ scripts.

File → Jupytext →Pair Notebook with script

2. Version Control is easy

The fact that it pairs your notebook with scripts means, well, you can just version control the .py file. The notebook is not necessarily added into the repository anymore, only if you want to show the output.

Simply diff the .py file instead of the .ipynb file !

3. Full refactor capability with your notebook

Jupytext try very hard to figure out the changes in your paired notebook and script. If you make changes on your notebook, the script will be updated simultaneously.

Sync Notebook with the script!

So here is the description of what I am doing.

  1. Do refactoring in VS Code
  2. Save the script file.
  3. Press F5 to refresh the notebook to get the new changes
Refactor in IDE -> Refresh in Notebook and continue


This is my most common use case with Jupytext, but it can do a lot more. Do check out their Github page for more advanced usage. Marc himself has also written a blog about the release of Jupytext 1.0 where he explains the functionality in details. Let’s do more refactoring with notebooks.

